Peter Wellstead: control systems
ABSTRACT: This is one of a series of white papers on systems modelling, analysis and control, prepared by Control Systems to give insights into important principles and processes in control. In control systems there are a number of generic systems and methods which are encountered in all areas of industry and technology. These white papers aim to explain these important systems and methods in straightforward terms.
The white papers describe what makes a particular type of system/method important, how it works and then demonstrates how to control it. The control demonstrations are performed using models of real systems that I designed, and which have been developed for manufacture by TQ Education and Training Ltd in their CE range of equipment. This white paper is about a very useful and influencial laboratory system for teaching control of unstable systems – the Ball and Beam System.
1. What is the Ball and Beam?
The ball and beam system is one of the most enduringly popular and important laboratory models for teaching control systems engineering. The ball and beam system is widely used because it is very simple to understand as a system, and yet the control techniques that can be studied it cover many important classical and modern design methods. It has a very important property – it is open loop unstable.
Ba ll P sitio n o Ba ll
Mo to r
Be a m
Ang le
Be a m
== Materials data, as found in the file ==
'''
No. 1
Th4B3SbRh12: computed XRD peak list (Cu Kα (weighted mean of Kα1 and Kα2)), based on a structure optimized by DFT (GGA-PBE).

Crystal structure
```
Th4B3SbRh12
1.0
-4.4151 4.4151 4.4151
4.4151 -4.4151 4.4151
4.4151 4.4151 -4.4151
Th B Sb Rh
4 3 1 12
Direct
0.0000 0.0000 0.5000
0.0000 0.5000 0.0000
0.5000 0.0000 0.0000
0.5000 0.5000 0.5000
0.0000 0.5000 0.5000
0.5000 0.0000 0.5000
0.5000 0.5000 0.0000
0.0000 0.0000 0.0000
0.0000 0.2803 0.2803
0.0000 0.7197 0.7197
0.2500 0.5000 0.7500
0.2500 0.7500 0.5000
0.2803 0.0000 0.2803
0.2803 0.2803 0.0000
0.5000 0.2500 0.7500
0.5000 0.7500 0.2500
0.7197 0.0000 0.7197
0.7197 0.7197 0.0000
0.7500 0.2500 0.5000
0.7500 0.5000 0.2500
```

Top 10 peaks for 2θ = 5–70°, by intensity:
2.549 Å, intensity 1000; 2.208 Å, intensity 644; 1.561 Å, intensity 410; 3.122 Å, intensity 273; 1.802 Å, intensity 98; 1.396 Å, intensity 71; 4.415 Å, intensity 63; 1.974 Å, intensity 53; 2.360 Å, intensity 51; 1.883 Å, intensity 40

No. 2
NdSmPd4: computed XRD peak list (Cu Kα (weighted mean of Kα1 and Kα2)), based on a structure optimized by DFT (GGA-PBE).

Crystal structure
```
NdSmPd4
1.0
2.1339 -9.9010 0.0000
2.1339 9.9010 0.0000
0.0000 0.0000 5.8721
Nd Sm Pd
2 2 8
Direct
0.2236 0.7764 0.7500
0.7764 0.2236 0.2500
0.0771 0.9229 0.2500
0.9229 0.0771 0.7500
0.0724 0.9276 0.7500
0.3546 0.6454 0.0127
0.3546 0.6454 0.4873
0.5000 0.5000 0.0000
0.5000 0.5000 0.5000
0.6454 0.3546 0.5127
0.6454 0.3546 0.9873
0.9276 0.0724 0.2500
```

Top 10 peaks for 2θ = 5–70°, by intensity:
2.401 Å, intensity 1000; 2.358 Å, intensity 984; 2.194 Å, intensity 533; 2.134 Å, intensity 385; 1.530 Å, intensity 337; 3.059 Å, intensity 247; 1.415 Å, intensity 199; 1.892 Å, intensity 153; 9.901 Å, intensity 147; 3.401 Å, intensity 121

No. 3
Ac4Pd2Au: computed XRD peak list (Cu Kα (weighted mean of Kα1 and Kα2)), based on a structure optimized by DFT (GGA-PBE).

Crystal structure
```
Ac4Pd2Au
1.0
-4.9343 4.9343 4.9697
4.9343 -4.9343 4.9697
4.9343 4.9343 -4.9697
Ac Pd Au
8 4 2
Direct
0.2026 0.2601 0.5575
0.2026 0.6451 0.9425
0.2601 0.2026 0.0575
0.3549 0.7974 0.5575
0.6451 0.2026 0.4425
0.7399 0.7974 0.9425
0.7974 0.3549 0.0575
0.7974 0.7399 0.4425
0.0000 0.5000 0.5000
0.5000 0.0000 0.0000
0.5000 0.5000 0.0000
0.5000 0.5000 0.5000
0.1250 0.8750 0.2500
0.8750 0.1250 0.7500
```

Top 10 peaks for 2θ = 5–70°, by intensity:
3.494 Å, intensity 1000; 3.141 Å, intensity 893; 2.639 Å, intensity 651; 2.108 Å, intensity 532; 3.123 Å, intensity 522; 2.467 Å, intensity 409; 1.943 Å, intensity 402; 2.644 Å, intensity 298; 4.934 Å, intensity 262; 2.024 Å, intensity 241

No. 4
Tl2ZnSb: computed XRD peak list (Cu Kα (weighted mean of Kα1 and Kα2)), based on a structure optimized by DFT (GGA-PBE).

Crystal structure
```
Tl2ZnSb
1.0
3.4580 0.0000 0.0000
0.0000 4.4101 0.0000
-1.5758 0.0000 7.3648
Tl Zn Sb
2 1 1
Direct
0.0000 0.0000 0.0000
0.3448 0.5000 0.6852
0.5899 0.5000 0.2024
0.7181 0.0000 0.4220
```

Top 10 peaks for 2θ = 5–70°, by intensity:
'''
Be am Angle
Mo to r Am p lifie r
Figure 1. The Ball and Beam System.
The system (shown in figure 1) is very simple – a steel ball rolling on the top of a long beam. The beam is mounted on the output shaft of an electric motor and so the beam can be tilted about its centre axis by applying an electrical control signal to the motor amplifer. The position of the ball on the beam can be measured using a special sensor.
____________
Entry 1:
For NdCuAg2S4, a crystal structure in Alexandria, relaxed with GGA-PBE gives the calculated X-ray powder pattern in this record (Cu Ka).
Intensities are scaled so that the largest is 100.

Top 10 peaks for 2θ from 10° to 80°, most intense first:
two_theta  I_rel
31.2  100.0
27.6  90.1
33.7  63.0
43.6  57.4
25.3  50.8
26.8  45.9
47.9  43.6
46.0  38.3
54.1  30.9
46.7  30.6

Structural model:
```
NdCuAg2S4
1.0
1.974 -6.647 0.000
1.974 6.647 0.000
0.000 0.000 12.423
Nd Cu Ag S
2 2 4 8
Direct
0.086 0.914 0.750 Nd
0.914 0.086 0.250 Nd
0.174 0.826 0.250 Cu
0.826 0.174 0.750 Cu
0.375 0.625 0.554 Ag
0.375 0.625 0.946 Ag
0.625 0.375 0.054 Ag
0.625 0.375 0.446 Ag
0.000 0.000 0.000 S
0.000 0.000 0.500 S
0.307 0.693 0.129 S
0.307 0.693 0.371 S
0.423 0.577 0.750 S
0.577 0.423 0.250 S
0.693 0.307 0.629 S
0.693 0.307 0.871 S
```


Entry 2:
For LiU4Se6, a crystal structure in Alexandria, relaxed with GGA-PBE gives the calculated X-ray powder pattern in this record (Cu Ka).
Intensities are scaled so that the largest is 100.

Top 10 peaks for 2θ from 10° to 80°, most intense first:
two_theta  I_rel
33.6  100.0
37.4  89.0
25.1  72.8
22.3  64.3
27.3  64.3
42.3  56.5
32.0  46.4
27.4  45.9
35.8  39.9
68.3  39.9

Structural model:
```
LiU4Se6
1.0
5.664 3.270 4.540
-5.664 3.270 4.540
0.000 -6.541 4.540
Li U Se
2 8 12
Direct
0.000 0.000 0.000 Li
0.500 0.500 0.500 Li
0.138 0.750 0.362 U
0.250 0.250 0.250 U
0.250 0.638 0.862 U
0.362 0.138 0.750 U
0.638 0.862 0.250 U
0.750 0.362 0.138 U
0.750 0.750 0.750 U
0.862 0.250 0.638 U
0.060 0.921 0.686 Se
0.079 0.314 0.940 Se
0.186 0.421 0.560 Se
0.314 0.940 0.079 Se
0.421 0.560 0.186 Se
0.440 0.814 0.579 Se
0.560 0.186 0.421 Se
0.579 0.440 0.814 Se
0.686 0.060 0.921 Se
0.814 0.579 0.440 Se
0.921 0.686 0.060 Se
0.940 0.079 0.314 Se
```


Entry 3:
For Pm5HoTl6, a crystal structure in Alexandria, relaxed with GGA-PBE gives the calculated X-ray powder pattern in this record (Cu Ka).
Intensities are scaled so that the largest is 100.

Top 10 peaks for 2θ from 10° to 80°, most intense first:
two_theta  I_rel
32.8  100.0
32.8  49.6
58.5  28.9
58.6  23.9
47.0  18.5
78.1  12.5
47.2  9.1
78.5  8.1
68.6  6.0
68.7  5.9

Structural model:
```
Pm5HoTl6
1.0
4.719 -8.210 0.000
4.719 8.210 0.000
-3.158 0.000 4.464
Pm Ho Tl
5 1 6
Direct
0.000 0.000 0.000 Pm
0.166 0.834 0.500 Pm
0.330 0.670 0.000 Pm
0.670 0.330 0.000 Pm
0.834 0.166 0.500 Pm
0.500 0.500 0.500 Ho
0.090 0.418 0.254 Tl
0.258 0.258 0.758 Tl
0.418 0.090 0.254 Tl
0.582 0.910 0.746 Tl
0.742 0.742 0.242 Tl
0.910 0.582 0.746 Tl
```


Entry 4:
For Tb3Ce4Si4, a crystal structure in Alexandria, relaxed with GGA-PBE gives the calculated X-ray powder pattern in this record (Cu Ka).
Intensities are scaled so that the largest is 100.

Top 10 peaks for 2θ from 10° to 80°, most intense first:
two_theta  I_rel
32.4  100.0
35.1  80.9
33.5  80.9
28.7  77.2
27.8  75.1
51.4  70.4
35.5  40.3
26.2  35.7
49.2  32.2
23.2  31.3

Structural model:
```
Tb3Ce4Si4
1.0
-1.851 4.274 8.650
1.851 -4.274 8.650
____________
The control job is to automatically regulate the position of the ball on the beam by changing the angle of the beam. This is a difficult control task because the ball does not stay in one place on the beam but moves with an acceleration that is proportional to the tilt of the beam. In control techology the system is open loop unstable because the system output (the ball position) increases without limit for a fixed input
(beam angle). Feedback control must be used to keep the ball in a desired position on the beam.
Ball and Beam 1: Basics
2. What is the Relevance of the Ball and Beam System?
Most control problems that we meet in practical world are straightforward to control. For a fixed input signal the output stays more or less constant. An important set of systems however are, either by design or nature, unstable and feedback control is essential to make them operate safely. Many modern industrial processes and technological systems are intrinsically unstable could be used without stabilizing feedback control. Important practical examples of unstable systems are:
1. In the chemical process industries - the control of exo-thermic chemical reactions. If a chemical reaction generates heat and yet the reaction gets faster as temperature increases, then control must be used to stabilise the temperature of the chemical reaction to avoid a ‘run-away’ reaction. Exothermic reactions are used to produce many everyday chemical products – without feedback control these products would not be available to us.
2. In power generation – the position control of the plasma in the Joint European Torus (JET). The object here is to control the vertical position of a plasma ring inside a hollow donut-shaped metal container. The control is by using magnetic fields applied through the donut and the plasma moves vertically in an unstable manner in response to the control fields. To understand the problem, imagine